Entries:
No. 1
C5H9NO2 | wB97M-V/def2-TZVPD

ΔE to the lowest compared entry with this formula, charge and spin	7.605	eV
orbital gap	10.16	eV
net charge	0
multiplicity	1
HOMO	-9.278	eV
strongest force on any atom	0.17596	Eh/bohr

```
17
C5H9NO2 wB97M-V/def2-TZVPD
O 0.2463 0.7534 1.5520
O -1.2217 1.1462 -0.8685
N 0.3197 2.0258 0.9573
C -0.3669 2.1119 -0.0952
C 0.4135 -1.2429 0.2572
C -1.3711 -0.2364 -0.5107
C -0.2078 -0.8482 -0.9492
C 1.2337 -0.0962 0.9248
H -0.4864 2.9907 -0.4896
H -2.5360 -0.4937 -0.9917
H 1.2399 -2.0317 0.0032
H 1.9023 0.5319 0.1389
H -0.1643 -1.8624 -1.6274
H 0.7336 -0.2371 -1.5005
H -0.1281 -2.0541 0.8307
H 2.0223 -0.0479 1.8176
H -1.6290 -0.4094 0.5513
```

***

No. 2
C21H53N3O7 | wB97M-V/def2-TZVPD

ΔE to the lowest compared entry with this formula, charge and spin	11.206	eV
orbital gap	8.46	eV
net charge	0
multiplicity	1
HOMO	-7.878	eV
strongest force on any atom	0.14956	Eh/bohr

```
84
C21H53N3O7 wB97M-V/def2-TZVPD
O 4.1509 -6.9588 -0.8155
O 2.9478 4.1680 0.1445
O -0.8322 4.5060 -1.1340
O -1.9640 0.0665 -1.3702
O 0.8467 -3.5708 -2.5668
O -3.9407 -0.9074 -0.3320
O 0.6733 2.7906 4.2816
N 0.4614 3.4555 1.2728
N 1.0606 -5.7658 -0.8051
N -3.0703 1.7225 -0.4375
C 0.3608 -0.3158 -1.5468
C -0.0115 3.3380 5.4264
C -0.8491 0.0362 0.6265
C -1.1094 3.1590 -0.7735
C 1.7188 -7.0515 -1.0984
C 0.4353 2.2796 2.0512
C 0.7736 -2.0375 -2.7084
C -4.2199 -2.1820 0.1707
C 0.6007 4.7889 -1.3220
C -0.9503 -0.5700 -0.7080
C -0.2318 -5.4889 -1.5139
C -4.8837 0.1472 -0.1059
C -0.3059 -3.9796 -1.7971
C 2.9486 -7.2376 -0.1451
C 2.7532 4.3715 1.5872
C -0.3140 2.4866 3.3458
C -2.6888 3.0864 -0.7900
C 4.3609 -5.5849 -1.1202
C -4.4497 1.4612 -0.6964
C 1.2211 4.5403 1.7711
C 4.2425 4.2829 -0.2259
H -0.3879 -6.0595 -2.4294
H -3.0581 3.6113 0.0911
H -2.4042 1.1415 -0.9262
H 1.0793 -1.6277 -1.7457
H -0.5077 -3.4692 -0.8554
H 2.1175 -7.0359 -2.1128
H -1.1175 -1.6449 -0.6390
H -0.8711 2.4709 -1.5845
H -5.2573 -2.4697 0.0002
H 4.8068 3.5853 0.3930
H 1.3812 1.7675 2.2275
H 3.2450 3.6038 2.1846
H 4.5208 4.0413 -1.2517
H -0.6354 1.1041 0.6718
H 0.1510 -0.6187 -2.5726
H -0.6966 2.7974 0.1683
H -3.1370 3.5229 -1.6826
H -4.6294 1.5028 -1.7707
H 0.5737 0.7325 -1.7564
H 1.5466 -1.7897 -3.4358
H -0.1934 -1.6578 -3.0381
H 1.5510 -4.9497 -1.1423
H -4.9281 2.2352 -0.0963
H 4.6602 5.2896 -0.2127
H 0.4380 3.2980 6.4186
H -0.6402 1.5222 3.7351
H -0.4198 4.3399 5.2937
H 1.0326 3.1401 0.5019
H 1.0088 4.6192 2.8373
H -0.1651 -0.5216 1.2661
H 1.2081 3.9306 -1.6092
H 1.1110 5.1707 -0.4377
H 1.0475 -7.9098 -1.1249
H -1.2693 3.0092 3.2981
H 1.2979 -0.7313 -1.1762
H 2.7903 -6.6692 0.7714
H 4.4310 -5.0314 -0.1838
H 3.5919 -5.2058 -1.7932
H 0.7251 5.4667 -2.1665
H -3.4449 -2.9005 -0.0963
H -5.7933 -0.2163 -0.5841
H 5.3199 -5.5257 -1.6349
H -4.2382 -2.0836 1.2561
H -2.7520 -0.2088 -0.8959
H -1.2024 -3.7252 -2.3625
H -0.1780 1.6421 1.4143
H -0.8314 2.6695 5.6889
H 3.2889 5.2814 1.8579
H -5.0020 0.1428 0.9776
H -1.0676 -5.8373 -0.9072
H 0.9594 5.4609 1.2493
H 3.0469 -8.2763 0.1704
H -1.8373 0.0297 1.0863
```

***

No. 3
C34H73BrN5O12S3 | wB97M-V/def2-TZVPD

orbital gap	8.99	eV
net charge	+1
multiplicity	1
HOMO	-12.040	eV
strongest force on any atom	0.06217	Eh/bohr

```
128
C34H73BrN5O12S3 wB97M-V/def2-TZVPD
Br 2.8141 -3.6155 -3.6361
S -1.9525 -8.2188 6.2752
S -0.5310 4.2410 -6.9546
S 2.9923 6.1715 -2.9744
O 3.2115 7.1784 -4.1814
O 4.3758 -1.6868 -2.3478
O -1.5727 -6.8341 6.2410
O -0.5054 3.2798 -5.8925
O -0.9724 -7.1702 2.3490
O 0.8786 -4.1796 -0.9347
O -3.3118 -8.6031 6.0707
O 0.5759 3.8406 -8.0252
O -1.4138 -8.8647 7.6183
O -1.7529 4.5401 -7.6286
O 3.9117 6.4797 -1.9260
O 1.5896 6.0641 -2.7059
N 2.4047 -2.0711 3.0154
N 1.4483 -3.2971 -0.0685
N 1.5624 -3.5169 1.2638
N 2.3941 -1.5339 0.7319
N 2.1085 -2.8786 4.1122
C 2.1435 -2.3641 1.7433
C 2.1069 0.3971 2.9485
C -1.1130 1.6742 -0.3292
C -0.9375 -9.1304 5.1654
C -1.7963 -8.2549 8.8734
C 3.4457 9.3881 -3.1073
C 0.5893 4.1845 0.2536
C -5.0518 -1.6454 0.7377
C -0.5970 2.3393 -9.5907
C -1.7145 0.4942 -1.0660
C 2.6624 8.5121 -4.0638

What to do:
Write out all of the calculation results earlier on word for word.

Outcome:
No. 1
C5H9NO2 | wB97M-V/def2-TZVPD

ΔE to the lowest compared entry with this formula, charge and spin	7.605	eV
orbital gap	10.16	eV
net charge	0
multiplicity	1
HOMO	-9.278	eV
strongest force on any atom	0.17596	Eh/bohr

```
17
C5H9NO2 wB97M-V/def2-TZVPD
O 0.2463 0.7534 1.5520
O -1.2217 1.1462 -0.8685
N 0.3197 2.0258 0.9573
C -0.3669 2.1119 -0.0952
C 0.4135 -1.2429 0.2572
C -1.3711 -0.2364 -0.5107
C -0.2078 -0.8482 -0.9492
C 1.2337 -0.0962 0.9248
H -0.4864 2.9907 -0.4896
H -2.5360 -0.4937 -0.9917
H 1.2399 -2.0317 0.0032
H 1.9023 0.5319 0.1389
H -0.1643 -1.8624 -1.6274
H 0.7336 -0.2371 -1.5005
H -0.1281 -2.0541 0.8307
H 2.0223 -0.0479 1.8176
H -1.6290 -0.4094 0.5513
```

***

No. 2
C21H53N3O7 | wB97M-V/def2-TZVPD

ΔE to the lowest compared entry with this formula, charge and spin	11.206	eV
orbital gap	8.46	eV
net charge	0
multiplicity	1
HOMO	-7.878	eV
strongest force on any atom	0.14956	Eh/bohr

```
84
C21H53N3O7 wB97M-V/def2-TZVPD
O 4.1509 -6.9588 -0.8155
O 2.9478 4.1680 0.1445
O -0.8322 4.5060 -1.1340
O -1.9640 0.0665 -1.3702
O 0.8467 -3.5708 -2.5668
O -3.9407 -0.9074 -0.3320
O 0.6733 2.7906 4.2816
N 0.4614 3.4555 1.2728
N 1.0606 -5.7658 -0.8051
N -3.0703 1.7225 -0.4375
C 0.3608 -0.3158 -1.5468
C -0.0115 3.3380 5.4264
C -0.8491 0.0362 0.6265
C -1.1094 3.1590 -0.7735
C 1.7188 -7.0515 -1.0984
C 0.4353 2.2796 2.0512
C 0.7736 -2.0375 -2.7084
C -4.2199 -2.1820 0.1707
C 0.6007 4.7889 -1.3220
C -0.9503 -0.5700 -0.7080
C -0.2318 -5.4889 -1.5139
C -4.8837 0.1472 -0.1059
C -0.3059 -3.9796 -1.7971
C 2.9486 -7.2376 -0.1451
C 2.7532 4.3715 1.5872
C -0.3140 2.4866 3.3458
C -2.6888 3.0864 -0.7900
C 4.3609 -5.5849 -1.1202
C -4.4497 1.4612 -0.6964
C 1.2211 4.5403 1.7711
C 4.2425 4.2829 -0.2259
H -0.3879 -6.0595 -2.4294
H -3.0581 3.6113 0.0911
H -2.4042 1.1415 -0.9262
H 1.0793 -1.6277 -1.7457
H -0.5077 -3.4692 -0.8554
H 2.1175 -7.0359 -2.1128
H -1.1175 -1.6449 -0.6390
H -0.8711 2.4709 -1.5845
H -5.2573 -2.4697 0.0002
H 4.8068 3.5853 0.3930
H 1.3812 1.7675 2.2275
H 3.2450 3.6038 2.1846
H 4.5208 4.0413 -1.2517
H -0.6354 1.1041 0.6718
H 0.1510 -0.6187 -2.5726
H -0.6966 2.7974 0.1683
H -3.1370 3.5229 -1.6826
H -4.6294 1.5028 -1.7707
H 0.5737 0.7325 -1.7564
H 1.5466 -1.7897 -3.4358
H -0.1934 -1.6578 -3.0381
H 1.5510 -4.9497 -1.1423
H -4.9281 2.2352 -0.0963
H 4.6602 5.2896 -0.2127
H 0.4380 3.2980 6.4186
H -0.6402 1.5222 3.7351
H -0.4198 4.3399 5.2937
H 1.0326 3.1401 0.5019
H 1.0088 4.6192 2.8373
H -0.1651 -0.5216 1.2661
H 1.2081 3.9306 -1.6092
H 1.1110 5.1707 -0.4377
H 1.0475 -7.9098 -1.1249
H -1.2693 3.0092 3.2981
H 1.2979 -0.7313 -1.1762
H 2.7903 -6.6692 0.7714
H 4.4310 -5.0314 -0.1838
H 3.5919 -5.2058 -1.7932
H 0.7251 5.4667 -2.1665
H -3.4449 -2.9005 -0.0963
H -5.7933 -0.2163 -0.5841
H 5.3199 -5.5257 -1.6349
H -4.2382 -2.0836 1.2561
H -2.7520 -0.2088 -0.8959
H -1.2024 -3.7252 -2.3625
H -0.1780 1.6421 1.4143
H -0.8314 2.6695 5.6889
H 3.2889 5.2814 1.8579
H -5.0020 0.1428 0.9776
H -1.0676 -5.8373 -0.9072
H 0.9594 5.4609 1.2493
H 3.0469 -8.2763 0.1704
H -1.8373 0.0297 1.0863
```

***

No. 3
C34H73BrN5O12S3 | wB97M-V/def2-TZVPD

orbital gap	8.99	eV
net charge	+1
multiplicity	1
HOMO	-12.040	eV
strongest force on any atom	0.06217	Eh/bohr

```
128
C34H73BrN5O12S3 wB97M-V/def2-TZVPD
Br 2.8141 -3.6155 -3.6361
S -1.9525 -8.2188 6.2752
S -0.5310 4.2410 -6.9546
S 2.9923 6.1715 -2.9744
O 3.2115 7.1784 -4.1814
O 4.3758 -1.6868 -2.3478
O -1.5727 -6.8341 6.2410
O -0.5054 3.2798 -5.8925
O -0.9724 -7.1702 2.3490
O 0.8786 -4.1796 -0.9347
O -3.3118 -8.6031 6.0707
O 0.5759 3.8406 -8.0252
O -1.4138 -8.8647 7.6183
O -1.7529 4.5401 -7.6286
O 3.9117 6.4797 -1.9260
O 1.5896 6.0641 -2.7059
N 2.4047 -2.0711 3.0154
N 1.4483 -3.2971 -0.0685
N 1.5624 -3.5169 1.2638
N 2.3941 -1.5339 0.7319
N 2.1085 -2.8786 4.1122
C 2.1435 -2.3641 1.7433
C 2.1069 0.3971 2.9485
C -1.1130 1.6742 -0.3292
C -0.9375 -9.1304 5.1654
C -1.7963 -8.2549 8.8734
C 3.4457 9.3881 -3.1073
C 0.5893 4.1845 0.2536
C -5.0518 -1.6454 0.7377
C -0.5970 2.3393 -9.5907
C -1.7145 0.4942 -1.0660
C 2.6624 8.5121 -4.0638